TheCope wrote:Do you know any Muslims? Any of you on this DBB?
Yep. I also know quite a few Hindu's, one of whom got beaten up after 9/11 because some jerk thought he looked Arabic.
TheCope wrote:Have you ever had a handshake with a Somali?
Nope. We don't get a lot of green card programmers from Somalia for some reason.
-- The piece is interrupted by data records --
=====
A plane-wave DFT calculation with PBE-GGA was carried out for crystalline MgTaCuSb at its relaxed geometry.

```
16
Lattice="6.654 0.000 0.000 0.000 6.654 0.000 0.000 0.000 6.654" Properties=species:S:1:pos:R:3 pbc="T T T"
Mg 0.000 0.000 0.000
Mg 0.000 3.327 3.327
Mg 3.327 0.000 3.327
Mg 3.327 3.327 0.000
Ta 1.664 1.664 1.664
Ta 1.664 4.991 4.991
Ta 4.991 1.664 4.991
Ta 4.991 4.991 1.664
Cu 1.664 1.664 4.991
Cu 1.664 4.991 1.664
Cu 4.991 1.664 1.664
Cu 4.991 4.991 4.991
Sb 0.000 0.000 3.327
Sb 0.000 3.327 0.000
=====
TheCope wrote:Life isn't: 1) they are trying to take my guns
It's certainly not the CENTER of my life, but it IS an important issue. I don't own a gun. But they'll take my crossbow when they pry it from my cold dead fingers!!!
But what is your point other than to point out that rednecks are often gunphiles and islamophobes? I've spoken to tree hugging gun hating liberals who wanted us to nuke the entire middle east. And I'm certain there are card carrying NRA members who oppose the mistreatment of Muslims.
TheCope wrote:2) bible quotes
But they can be an important part of your life.
TheCope wrote:3) ignoring genocide and slavery in your great nation that was settled by terrorists.
Those who do not learn from history are doomed to repeat it. I THINK I'm with you here.
TheCope wrote:Have you ever hung out with anyone that didn't play descent?
I have to come HERE to meet descent players since most of my "real life" friends don't even know what descent is. I would assume that it is the same for most folks here.
TheCope wrote:Do you know people that don't agree with you?
Uhm, that would be everyone I know.
TheCope wrote:Bring it. Lets see the photos of you with your 1 black friend, your 1 Muslim friend.
What would that prove? I don't even know the nationality (let alone color) of most people on this board. Should it matter? I CERTAINLY wouldn't try to guess the ethnicity and religion of their friends. Not even by their politics. I've known Caucasian people who spewed racist garbage all day long, and yet had good friends from the very ethnicities they so often disparaged. Some kind of strange disconnect there.
TheCope wrote:You are just a bunch of clownbags.
That's not a bad description. But it does seem odd that you would try to lump us all into one pigeon hole when we are a rather diverse group. When we have a political discussion, there are opinions expressed from all over the political spectrum. And in the religious debates we seem to be short of religious folks other than Christians, but we have a very wide variety of Christians, as well as a good selection of Agnostics and Atheists.
We all seem to have in common that we like descent, and that we enjoy talking to, debating, and learning from each other. I don't see that as a bad thing.